“What’s it like being a mom?” Santana asked Sadie.

“It’s a marathon, not a race,” Sadie muttered. “It’s nonstop from the second they come out of you. You know, my mum had three of us to deal with, and she never even looked like she was stressed or sweating. Me, I’ve got one, and I swear it feels like I never stop.”

Her face went soft, and then she added, “But it’s an amazing adventure. Every day brings something new, and seeing Elijah with her… What woman doesn’t feel herself melting when she sees a hot guy holding a baby?”

“A friend of mine got pregnant in high school,” I told them. “I went to visit her at the hospital after her daughter was born, and when I saw how tiny she was, I about had a heart attack. It’s one thing learning about it in sex ed, but nothing prepares you for the reality of them.”

Tilting her head to the side, Santana looked between the two of us. “I’d never thought about it like that. I don’t even think I’ve ever considered what size a baby is when it comes out.”

“It’s not a one-size-fits-all. Some come out massive, and some come out tiny.” Sadie shuddered. “One of our neighbors was telling me all about her kids just before I had Bronte. Her son came out at eleven pounds and two ounces, one daughter was nine pounds even, and the other daughter was just under nine pounds.”

Leaning in closer, she whispered, “I’m just grateful Bronte didn’t tear me a new one, unlike her kids who did it three”—she held out three fingers—“times.”

I winced and clamped my thighs together at the thought, but Santana looked horrified.

“They can tear you?”

“Oh, yes, they can. From nunney to your arsehole, those heads can literally tear you a new one.”

“Sweet lord. I don’t think I ever want to have kids. I’m not cut out for pain like that. Heck, I can hardly even go through my period without thinking I’m dying. And having one big hole down there? Nuh uh, no way.” Santana shook her head rapidly, looking like she was about to have a panic attack.

“Are you pregnant?” Sadie asked, frowning at her. “If you are, you shouldn’t be in this hot tub.” Then, her frown turned into a look not too dissimilar to Santana’s previous one. “Oh, fuck me. I’ve just told you that story. I hated it when people told me birthing horror stories when I was pregnant. I don’t even know why they do it. Like, can’t you tell me the good shit and keep the bad to yourself, even for a second? I swear they have some sort of morbid fascination with scaring the ever-loving piss out of pregnant women, even though they were once that woman, too.”

“Whoa, whoa, I’m not pregnant,” Santana chuckled, holding her hands up in front of her to slow Sadie down. “I’m just saying, I never want to have kids in the future after hearing that story.”

Hearing this, Sadie’s face took on an expression I’d only ever seen on my parents' faces when they looked at us. It’s what I called the parental love look.

~~~
Record 1
Entry from the OMol25 dataset: CH3NOS2 in the gas phase at a distorted geometry (ωB97M-V/def2-TZVPD).

```
! RIJCOSX wB97M-V def2-TZVPD def2/J DEFGRID3
* xyz 0 1
C -0.73182 -0.44201 0.22685
N -0.22591 0.75259 -0.23514
O 2.22516 1.05025 0.50064
S 0.64809 -1.63180 -0.22768
S 1.44902 0.36317 -0.55832
H -0.81391 -0.50682 1.39321
H -1.74441 -0.65625 -0.10530
H -0.80621 1.07087 -0.99425
*
```

Results
**Gap between HOMO and LUMO**: 0.3418 Eh
**Lowest unoccupied orbital energy**: -0.180 eV
**HOMO energy**: -9.48 eV

Record 2
Entry from the OMol25 dataset: a 2-piece molecular cluster, CH3NOS2 overall at a distorted geometry (ωB97M-V/def2-TZVPD).

```
! RIJCOSX wB97M-V def2-TZVPD def2/J DEFGRID3
* xyz 0 1
C -2.60767 -1.01076 -1.00982
N -3.25283 -1.92141 -0.69125
H -1.91133 -0.27762 -1.40912
O 2.91227 0.39067 -0.59897
S 1.49897 0.16124 0.36926
S 0.60080 1.50086 1.98149
H 2.40539 0.66941 -1.37473
H 0.35441 0.48761 2.73315
*
```

Results
**Gap between HOMO and LUMO**: 0.2960 Eh
**SMILES**: C#N.OSS
**Lowest unoccupied orbital energy**: -1.328 eV
**HOMO energy**: -9.38 eV

Record 3
Entry from the OMol25 dataset: CH3NOS2 in the gas phase at a distorted geometry (ωB97M-V/def2-TZVPD).

```
! RIJCOSX wB97M-V def2-TZVPD def2/J DEFGRID3
* xyz 0 1
C 0.23106 0.49945 0.14360
N 2.73636 1.80613 1.23273
O 0.53141 1.48159 2.63782
S 3.54902 1.04425 0.16407
S 0.94355 1.86449 1.30106
H 1.05007 0.29353 -0.48358
H 0.10900 -0.29437 0.76567
H -0.62485 0.89609 -0.26904
*
```

Results
**Gap between HOMO and LUMO (alpha / beta)**: 0.2542 / 0.2533 Eh
**Lowest unoccupied orbital energy (alpha / beta)**: -1.920 / -1.884 eV
**HOMO energy (alpha / beta)**: -8.84 / -8.78 eV

Record 4
Entry from the OMol25 dataset: CH3NOS2 as an isolated structure at a distorted geometry (ωB97M-V/def2-TZVPD).

```
! RIJCOSX wB97M-V def2-TZVPD def2/J DEFGRID3
* xyz 0 1
C 0.21111 -0.56813 0.07378
N 0.68058 0.18475 -1.01174
O 2.52607 1.45046 1.13982
S 1.67512 -1.62960 0.28115
S 2.37637 -0.07655 -0.78081
H -0.18006 -0.03206 1.01481
H -0.60396 -1.14101 -0.36702
H 0.32023 1.19929 -0.99027
*
```

Results
**Gap between HOMO and LUMO (alpha / beta)**: 0.2769 / 0.2764 Eh
**Lowest unoccupied orbital energy (alpha / beta)**: -1.364 / -1.379 eV
**HOMO energy (alpha / beta)**: -8.90 / -8.90 eV

Record 5
Entry from the OMol25 dataset: CH3NOS3 in the gas phase at a distorted geometry (ωB97M-V/def2-TZVPD).
~~~

“But it’s one of the best experiences in the world. Not everyone wants to be a parent, I get that and can appreciate their reasons why, but if your only reason is because you don’t want to tear your taint, let me put your mind at ease.

“From the second I found out I was pregnant, I felt something settle inside me, and even though I was scared, I was also in love with her. Then I got to see Bronte growing in the scans and feel her kicking me from the inside. But I also got to see Elijah’s face when he saw her, when we found out we were having a girl, the first time we went shopping for her, the first time he felt her kick… Do you see where I’m going?”

“I think so,” Santana murmured, her eyes flicking in the direction of the fields.

“All of that was beautiful, but not one thing beat the feeling of holding her for the first time. I don’t think it matters if you go through the pregnancy yourself or if you adopt. The first time you meet your child, it’s a whole new feeling. The love I feel for my husband is his alone, and the love I feel for Bronte is hers, just like any future kids we have. But it’s something you don’t expect, and that hits you so hard, you feel almost overwhelmed by it.”

“Santana,” I called, seeing the look on her face as she glanced over at the stables. “Are you and Remy together?”

“Oooh, please say yes,” Sadie squealed softly, looking around us to make sure we were still alone.

Her cheeks were already flushed with the heat from the tub, but the pink hue deepened. “No, we’re not. It’s been close a couple of times, but something always interrupts us.”